What is needed: copy the rows further down from the line with "2.08115 -1.55142" to the end verbatim.

'''
Here is 2 unconnected molecules or ions with the total composition C9H27N4O3Si from the OMol25 dataset. Energies are from ωB97M-V/def2-TZVPD.

Values from the calculation:
- E_LUMO (eV) = -2.62
- total charge = +1
- HOMO energy (eV) = -11.265

Each line ends with the Mulliken charge.
Cartesian coordinates (Å):
C (4.861390, 0.904026, 0.497203)  -1.2293
C (4.551303, 1.682042, -0.787485)  -0.4474
C (3.684917, 2.938010, -0.578744)  -0.4048
N (2.394064, 2.888838, -1.287346)  -0.2289
Si (0.935971, 2.834747, -0.391047)  0.1070
C (0.776651, 1.338246, 0.738830)  -0.3367
N (1.011071, 0.125298, -0.071959)  -0.5524
O (0.784575, 4.181443, 0.590553)  -0.2226
N (1.421278, 4.269862, 1.881866)  0.2972
O (0.639378, 4.333615, 2.733443)  -0.2926
H (5.789784, 1.237409, 0.959806)  0.3667
H (4.968656, -0.164598, 0.305507)  0.3230
H (4.067322, 1.034585, 1.236928)  0.2748
H (5.482593, 1.964073, -1.279723)  0.3694
H (4.042048, 1.021416, -1.496559)  0.3250
H (4.224853, 3.836572, -0.883052)  0.2739
H (3.487280, 3.063906, 0.492070)  0.2653
H (2.419194, 2.224531, -2.052460)  0.2894
H (-0.202848, 2.874075, -1.323056)  -0.1663
H (-0.262745, 1.323924, 1.077714)  0.2093
H (1.405579, 1.381068, 1.638183)  0.4471
H (0.775854, -0.704062, 0.463661)  0.2338
H (1.999388, 0.033245, -0.288067)  0.1332
C (-3.130679, -1.035567, -1.237731)  -0.8737
N (-2.975158, -2.389579, -0.602696)  -0.0829
C (-2.580554, -3.357443, -1.673351)  -0.8738
C (-4.276408, -2.818049, -0.013558)  -0.8818
C (-1.875321, -2.406252, 0.437570)  -0.5852
C (-2.124312, -1.629346, 1.715988)  -0.5751
O (-2.329289, -0.278272, 1.379774)  -0.4527
H (-3.752847, -1.153816, -2.121524)  0.3702
H (-3.583940, -0.356446, -0.527076)  0.3805
H (-2.145695, -0.663489, -1.511809)  0.3973
H (-3.358114, -3.374591, -2.432692)  0.3987
H (-2.464697, -4.346547, -1.237089)  0.3971
H (-1.641348, -3.029127, -2.112481)  0.3848
H (-4.594900, -2.083456, 0.720138)  0.3651
H (-4.153828, -3.793591, 0.452178)  0.3611
H (-5.013313, -2.878198, -0.810925)  0.3930
H (-0.990357, -2.023209, -0.070919)  0.3727
H (-1.710497, -3.453173, 0.694050)  0.3018
H (-1.219517, -1.779256, 2.315654)  0.4044
H (-2.960709, -2.042306, 2.288015)  0.4750
H (-2.376074, 0.269440, 2.172218)  0.2892

Cartesian forces (eV/Å) of the 3 atoms listed first:
C 0.0 0.0 0.0
C 0.0 0.0 0.0
C 0.0 0.1 0.1

----------

Record 1
Here is a structure of composition C30H47FHfP2 at a distorted geometry from the OMol25 dataset. Energies are from ωB97M-V with the def2-TZVPD basis set.

```
! wB97M-V def2-TZVPD RIJCOSX def2/J DEFGRID3
* xyz 2 1
Hf -0.93314 0.70000 -0.04732
C 0.34448 0.23638 2.45605
C 1.19397 0.84632 1.45736
C -0.61919 2.25010 1.86042
C -0.69100 1.13504 2.76043
C 0.62932 2.15049 1.13070
C 0.59360 -1.01737 3.21747
H 1.23518 -1.67733 2.63020
H -0.35047 -1.55548 3.39920
H 1.09348 -0.85352 4.19058
C -1.69773 1.00222 3.84755
H -1.59301 0.07892 4.43802
H -2.68331 0.97786 3.37333
H -1.68995 1.86138 4.53979
C -1.41036 3.49870 2.03271
H -2.46860 3.28241 2.20232
H -1.37745 4.18546 1.18241
H -1.05157 4.04677 2.91412
C 1.45563 3.33947 0.77643
H 1.87210 3.82879 1.67099
H 0.85862 4.08643 0.25079
H 2.29762 3.05812 0.14007
C 2.66587 0.66217 1.49897
H 3.09338 1.42946 2.16251
H 3.14147 0.76666 0.52217
H 2.97313 -0.29960 1.91667
C 2.26754 -3.14960 1.06635
C 3.44138 -3.80534 0.76322
C 4.44761 -3.37338 -0.26794
C 4.17164 -3.91800 -1.69895
C 3.08679 -3.18428 -2.39305
C 2.68742 -1.94379 -2.10899
C 2.08115 -1.55142 -0.76988
C 1.36321 -2.71270 -0.01995
H 5.48290 -3.68868 -0.04504
H 4.02123 -5.00983 -1.69588
H 4.37526 -2.28740 -0.26545
H 1.13869 -3.53070 -0.72250
H 1.85664 -3.32507 2.06629
H 3.73253 -4.75051 1.22895
H 0.40162 -2.41375 0.40979
H 2.84817 -1.09481 -0.13868
H 2.55681 -1.16667 -2.87415
H 1.41411 -0.70239 -1.00792
H 5.06074 -3.81912 -2.34055
H 2.62274 -3.75926 -3.19705
P -0.76884 -0.33793 -2.25372
P -0.83885 2.49621 -1.72925
C -1.10958 0.71465 -3.81079
C -1.65626 2.05997 -3.38407
H -1.82762 0.14191 -4.41070
H -0.17263 0.76472 -4.39814
H -1.45864 2.83501 -4.13954
'''

C 2.08115 -1.55142 -0.76988
C 1.36321 -2.71270 -0.01995
H 5.48290 -3.68868 -0.04504
H 4.02123 -5.00983 -1.69588
H 4.37526 -2.28740 -0.26545
H 1.13869 -3.53070 -0.72250
H 1.85664 -3.32507 2.06629
H 3.73253 -4.75051 1.22895
H 0.40162 -2.41375 0.40979
H 2.84817 -1.09481 -0.13868
H 2.55681 -1.16667 -2.87415
H 1.41411 -0.70239 -1.00792
H 5.06074 -3.81912 -2.34055
H 2.62274 -3.75926 -3.19705
P -0.76884 -0.33793 -2.25372
P -0.83885 2.49621 -1.72925
C -1.10958 0.71465 -3.81079
C -1.65626 2.05997 -3.38407
H -1.82762 0.14191 -4.41070
H -0.17263 0.76472 -4.39814
H -1.45864 2.83501 -4.13954